Psychology All books

Didier Pleux
From the Child as King to the Child as Tyrant
Clearly presented advice to help parents develop their good child-rearing sense. The very great clarity and consistency of Didier Pleux’s thinking.

Alberto Eiguer
From Sexual Perversions to Moral Perversions Pleasure and Domination
What is perversion really about? What does a pervert seek? The world of perversions is not only a mirror world of physical pleasure, it also serves as a mechanism of power in a relationship which the pervert uses to impose his/her rule on another, by denying his/her existence. Does the pervert seek pleasure or power? Alberto Eiguer is a psychoanalyst specialising in family therapy.

Daniel Sibony
From Identity to Existence The Jewish People’s Contribution
How the uniqueness of the Jewish people can help us all —Jews and non-Jews

Didier Pleux
From Emperor-Adults to Tyrant-Parents
It would seem everyone in our society has a complaint about incivilities, widespread selfishness and the loss of “values” in an increasingly materialistic society whose members are perceived as rude and badly brought up...

Bertrand Cramer, Christiane Robert-Tissot, Sandra Rusconi Serpa
From Baby to Preadolescent A Longitudinal Study
In 1991, 103 mother-and-infant pairs visited Genevas Guidance Infantile. The infants all displayed functional and behavioural disorders. Ten years later, the same mother-child pairs were re-evaluated by Professor Cramers team, who was thus able to make a number of prospective analyses. What became of the symptoms that the infants had first presented? Did any of the symptoms first displayed indicate a predisposition to other disorders? Can the characteristics that helped them to endure be identified? And what can be said of the role played by cognitive development and parental representations, as well as by protective factors? Professor Bertrand Cramer is a child psychiatrist.

Didier Pleux
The Freudian Couch Revolution
Existential psychotherapy: a new approach grounded in the power of consciousness

Jean-Claude Liaudet
The French Neurosis
A psychoanalyst examines France’s collective neurosis and asks: Can the patient be cured?

-- Between two parts of the piece: quantum chemistry results --
........
Entry 1:
C11H25NNbO6 | wB97M-V/def2-TZVPD

Geometry as XYZ:
```
44
Properties=species:S:1:pos:R:3
C 4.346 0.697 2.262
C 3.999 -0.039 1.342
C 3.307 -0.997 0.302
Nb 1.018 -1.027 0.677
N -1.088 -1.004 0.955
C -1.569 0.033 1.909
C -1.143 1.516 1.516
H 4.308 1.431 3.105
H 3.428 -0.463 -0.698
H 3.763 -2.025 0.298
H 0.795 -2.029 -0.842
H 0.920 0.524 -0.300
H 1.270 -0.071 2.224
H 1.260 -2.568 1.631
H -1.450 -1.936 1.199
H -2.712 0.024 1.866
H -1.208 -0.133 2.972
H -1.315 1.663 0.407
H -1.820 2.257 2.064
H -0.094 1.776 1.843
C -7.978 1.179 4.082
O -7.746 1.812 2.826
C -6.586 1.467 2.243
O -5.773 0.699 2.689
O -6.494 2.126 1.082
C -5.298 1.855 0.346
H -8.939 1.530 4.457
H -8.027 0.095 3.964
H -7.204 1.453 4.801
H -5.241 0.799 0.079
H -4.417 2.157 0.914
H -5.333 2.440 -0.572
C 4.694 -2.981 -5.762
O 4.351 -2.204 -4.619
C 5.254 -1.266 -4.299
O 6.286 -1.048 -4.887
O 4.811 -0.617 -3.219
C 5.677 0.420 -2.759
H 3.894 -3.703 -5.923
H 4.775 -2.349 -6.648
H 5.624 -3.526 -5.592
H 5.797 1.189 -3.524
H 6.646 0.011 -2.468
H 5.215 0.872 -1.882
```

The highest occupied orbital energy comes out at -0.16330 Ha. The charge is -1. The value obtained for the gap between HOMO and LUMO is 6.80 eV.

=====

Entry 2:
C14H27N7O7Sc | wB97M-V/def2-TZVPD

Geometry as XYZ:
```
56
Properties=species:S:1:pos:R:3
O -0.234 0.270 -3.517
H -0.294 0.603 -4.433
Sc 0.194 -0.013 -0.985
N -0.379 2.236 0.252
N 1.283 1.751 -1.429
N -1.425 -0.547 0.526
N -1.135 -1.623 -1.762
O -1.303 2.453 1.174
O -1.713 0.047 1.717
O -0.940 -2.206 -3.002
O 2.176 1.076 -2.070
C 1.443 3.005 -0.953
C 0.505 3.259 0.084
C -2.020 -1.749 0.376
C -1.843 -2.357 -0.912
C 0.554 4.407 1.014
H 0.892 4.099 2.010
H -0.438 4.842 1.123
H 1.234 5.163 0.634
C 2.504 3.909 -1.431
H 2.331 4.190 -2.480
H 3.486 3.427 -1.337
H 2.503 4.832 -0.846
C -2.754 -2.454 1.468
C -2.332 -3.705 -1.310
H -3.102 -1.738 2.217
H -2.139 -3.204 1.993
H -3.619 -3.001 1.067
H -1.610 -4.200 -1.972
H -3.294 -3.630 -1.842
H -2.486 -4.320 -0.416
H -1.582 1.059 1.512
H -0.623 -1.420 -3.530
C -1.194 1.081 -2.726
H -0.649 1.976 -2.407
H -1.578 0.520 -1.854
H -2.074 1.382 -3.319
O -3.829 2.871 -0.179
H -4.492 2.163 -0.072
H -3.210 2.752 0.573
C 2.845 -3.736 0.399
N 2.413 -2.533 1.116
C 2.642 -2.407 2.460
C 2.218 -1.284 3.115
C 1.538 -0.295 2.365
N 1.368 -0.409 1.036
C 1.793 -1.532 0.420
O 1.555 -1.669 -0.833
N 1.033 0.819 2.913
H 2.336 -4.614 0.813
H 3.930 -3.835 0.506
H 2.589 -3.632 -0.654
H 3.161 -3.241 2.943
H 2.339 -1.130 4.187
H 0.396 1.366 2.337
H 1.035 0.924 3.922
```

The highest occupied orbital energy (spin up / spin down) comes out at -0.34251 / -0.34269 Ha. The charge is +1. The energy above the lowest of the compared OMol25 structures with the same formula, charge and spin is 0.0 kJ/mol. The value obtained for the gap between HOMO and LUMO (spin up / spin down) is 5.32 / 5.33 eV.

=====

Entry 3:
C29H61N4O4SSi | wB97M-V/def2-TZVPD

Geometry as XYZ:
```
100
Properties=species:S:1:pos:R:3
C 2.437 -4.156 4.069
C 2.443 -3.627 2.528
N 3.394 -2.528 2.423
........
-- So much for the quantum chemistry results --

Jacques Montangero
Forty Questions About Dreams
A wealth of information to understand and analyse dreams

Daniel N. Stern
Forms of Vitality Exploring Dynamic Experience in Psychology, the Arts, Psychotherapy, and Development
The author renews a concept that had been abandoned for more than a century but which is central to our understanding of our intimate experience of existence

-- begin --
Entry A
DFT (wB97M-V/def2-TZVPD) results for an isolated molecule of C6H9N.

Calculated values
* orbital gap (spin up / spin down): 6.491 / 8.717 eV
* HOMO energy (spin up / spin down): -5.45 / -9.65 eV
* multiplicity: 3
* ⟨S²⟩: 2.0057

```
16
Properties=species:S:1:pos:R:3:nbo_charge:R:1
C 0.37428 1.70930 0.46709 -0.10
C -1.01214 -0.17652 1.24891 -0.28
C -1.66772 -0.27434 -0.14089 -0.21
C 0.93443 0.60056 0.10244 0.05
C 2.05276 -0.19250 -0.45077 -0.68
C -0.92568 -0.53742 -1.20345 -0.40
N 0.24983 0.44918 1.35044 -0.31
H -0.44643 2.39004 0.60355 0.22
H -1.62462 0.22131 1.99796 0.20
H -0.90851 -1.18569 1.55390 0.21
H -2.76767 -0.42766 -0.28331 0.22
H 2.16200 -0.08631 -1.60090 0.23
H 1.93181 -1.36161 -0.29115 0.23
H 3.03791 -0.04287 0.05460 0.23
H 0.10562 -0.32663 -1.30397 0.21
H -1.49587 -0.75883 -2.10444 0.19
```

---

Entry B
DFT (wB97M-V/def2-TZVPD) results for an isolated molecule of C6H9N.

Calculated values
* orbital gap (spin up / spin down): 6.888 / 7.648 eV
* HOMO energy (spin up / spin down): -5.94 / -9.38 eV
* multiplicity: 3
* ⟨S²⟩: 2.0202

```
16
Properties=species:S:1:pos:R:3:nbo_charge:R:1
C -0.16696 -0.34472 0.41534 0.09
C -1.24020 0.49818 0.03382 0.07
C 1.14878 -0.85526 0.31228 0.11
C -1.48541 -0.48934 1.13594 -0.50
C -1.80016 1.58275 -0.76465 -0.67
C 2.10913 -0.23318 -0.67980 -0.66
N 1.44635 -1.82491 1.08434 -0.58
H -2.10156 -1.36483 0.94947 0.24
H -1.57201 -0.14475 2.16376 0.24
H -1.39927 1.57741 -1.77851 0.23
H -1.54707 2.53622 -0.29681 0.23
H -2.88746 1.50979 -0.80530 0.23
H 2.46520 -1.00489 -1.36045 0.22
H 1.65742 0.57762 -1.24331 0.22
H 2.97657 0.15196 -0.14254 0.22
H 2.39666 -2.17205 0.97641 0.32
```

---

Entry C
DFT (wB97M-V/def2-TZVPD) results for a cluster of 2 separate species, C6H9N in total.

Calculated values
* orbital gap (spin up / spin down): 7.240 / 7.742 eV
* HOMO energy (spin up / spin down): -6.35 / -9.65 eV
* multiplicity: 3
* ⟨S²⟩: 2.0233

```
16
Properties=species:S:1:pos:R:3:nbo_charge:R:1
C 1.69291 0.60210 -0.28231 0.27
C -1.10342 -1.55059 0.26869 -0.41
C -1.28442 -0.24786 0.15462 -0.16
C 1.23104 1.45553 0.73644 0.12
C 1.87889 0.11937 -1.63562 -0.71
C -1.70604 0.65021 1.26689 -0.65
N 2.04204 0.34487 0.94728 -0.46
H -0.79428 -2.16163 -0.56344 0.19
H -1.26704 -2.06580 1.20070 0.19
H -1.11622 0.23826 -0.79827 0.18
H 1.69384 -0.95442 -1.66279 0.26
H 2.91945 0.27693 -1.92293 0.26
H 1.23248 0.63783 -2.34129 0.25
H -0.94014 1.41284 1.43144 0.23
H -1.84151 0.08558 2.18554 0.21
H -2.63759 1.15679 1.01504 0.22
```

---

Entry D
DFT (wB97M-V/def2-TZVPD) results for an isolated molecule of C6H9N.

Calculated values
* orbital gap (spin up / spin down): 7.372 / 8.605 eV
* HOMO energy (spin up / spin down): -6.42 / -11.58 eV
* multiplicity: 3
* ⟨S²⟩: 2.0158

```
16
Properties=species:S:1:pos:R:3:nbo_charge:R:1
C -1.34719 0.86881 -0.77678 0.19
C 0.05099 2.14375 0.47866 -0.28
C -0.31460 0.93283 0.04333 -0.07
C -0.08660 -1.12421 1.25816 -0.59
C 0.61012 -1.07536 -1.22304 -0.60
C 0.54072 -0.29656 0.17308 -0.22
-- stop --
**The text goes on**

Jean-Pierre Danjean
Forgetfulness and Memory Lapses
From banal forgetfulness to serious memory disorders: tests and essential guidelines to help decide how and when to take action.